### Request
Set down the calculation results below from the first line to the one with "-0.487 eV/atom" unchanged.

### Excerpt
┌──
[1]
VASP calculation (PBE) on crystalline Sr2TlHg at its relaxed geometry.

Geometry as CIF:
```
data_Sr2TlHg
_chemical_formula_sum 'Sr8 Tl4 Hg4'
_space_group_name_H-M_alt 'F m -3 m'
_space_group_IT_number 225
_space_group_name_Hall '-F 4 2 3'
_cell_length_a 8.1224
_cell_length_b 8.1224
_cell_length_c 8.1224
_cell_angle_alpha 90.00
_cell_angle_beta 90.00
_cell_angle_gamma 90.00
loop_
_atom_site_label
_atom_site_type_symbol
_atom_site_fract_x
_atom_site_fract_y
_atom_site_fract_z
_atom_site_occupancy
Sr1 Sr 0.2500 0.2500 0.2500 1
Tl1 Tl 0.0000 0.0000 0.0000 1
Hg1 Hg 0.0000 0.0000 0.5000 1
```

* formation energy: -0.487 eV/atom
* final energy: -1.9983 eV per atom

***

[2]
VASP calculation (PBE) on crystalline Cu3As2O8 at its relaxed geometry.

Geometry as CIF:
```
data_Cu3As2O8
_chemical_formula_sum 'Cu3 As2 O8'
_space_group_name_H-M_alt 'P -1'
_space_group_IT_number 2
_space_group_name_Hall '-P 1'
_cell_length_a 5.1141
_cell_length_b 5.5837
_cell_length_c 6.4861
_cell_angle_alpha 71.14
_cell_angle_beta 87.16
_cell_angle_gamma 68.12
loop_
_atom_site_label
_atom_site_type_symbol
_atom_site_fract_x
_atom_site_fract_y
_atom_site_fract_z
_atom_site_occupancy
Cu1 Cu 0.0000 0.0000 0.0000 1
Cu2 Cu 0.2629 0.2020 0.3254 1
As1 As 0.3633 0.3446 0.7823 1
O1 O 0.1409 0.6676 0.6434 1
O2 O 0.2203 0.2053 0.0239 1
O3 O 0.3117 0.6538 0.1594 1
O4 O 0.3807 0.1263 0.6333 1
```

* formation energy: -1.309 eV/atom
* final energy: -5.5943 eV per atom
* distance to the lowest polymorph of the same formula: 0.00 eV per formula unit

***

[3]
VASP calculation (PBE) on crystalline Rb2TlHgF6 at its relaxed geometry.

Geometry as CIF:
```
data_Rb2TlHgF6
_chemical_formula_sum 'Rb8 Tl4 Hg4 F24'
_space_group_name_H-M_alt 'F m -3 m'
_space_group_IT_number 225
_space_group_name_Hall '-F 4 2 3'
_cell_length_a 9.3539
_cell_length_b 9.3539
_cell_length_c 9.3539
_cell_angle_alpha 90.00
_cell_angle_beta 90.00
_cell_angle_gamma 90.00
loop_
_atom_site_label
_atom_site_type_symbol
_atom_site_fract_x
_atom_site_fract_y
_atom_site_fract_z
_atom_site_occupancy
Rb1 Rb 0.2500 0.2500 0.2500 1
Tl1 Tl 0.0000 0.0000 0.0000 1
Hg1 Hg 0.0000 0.0000 0.5000 1
F1 F 0.0000 0.0000 0.2505 1
```

* formation energy: -2.328 eV/atom
* final energy: -3.6625 eV per atom

***

[4]
VASP calculation (PBE) on crystalline ZnSn2O4 at its relaxed geometry.

Geometry as CIF:
```
data_ZnSn2O4
_chemical_formula_sum 'Zn6 Sn12 O24'
_space_group_name_H-M_alt 'R -3 m'
_space_group_IT_number 166
_space_group_name_Hall '-R 3 2"'
_cell_length_a 6.4873
_cell_length_b 6.4873
_cell_length_c 18.5623
_cell_angle_alpha 90.00
_cell_angle_beta 90.00
_cell_angle_gamma 120.00
loop_
_atom_site_label
_atom_site_type_symbol
_atom_site_fract_x
_atom_site_fract_y
_atom_site_fract_z
_atom_site_occupancy
Zn1 Zn 0.0000 0.0000 0.0875 1
Sn1 Sn 0.0000 0.0000 0.5000 1
Sn2 Sn 0.0000 0.5000 0.0000 1
O1 O 0.0000 0.0000 0.2762 1
O2 O 0.0157 0.5079 0.2701 1
```

* formation energy: -1.641 eV/atom
* final energy: -5.4018 eV per atom
* distance to the lowest polymorph of the same formula: 0.97 eV per formula unit

***

[5]
VASP calculation (PBE) on crystalline Na3HfInSiP2O12 at its relaxed geometry.

Geometry as CIF:
```
data_Na3HfInSiP2O12
_chemical_formula_sum 'Na36 Hf12 In12 Si12 P24 O144'
_space_group_name_H-M_alt 'C 1 c 1'
_space_group_IT_number 9
_space_group_name_Hall 'C -2yc'
_cell_length_a 15.8078
_cell_length_b 9.1530
_cell_length_c 22.5262
_cell_angle_alpha 90.00
_cell_angle_beta 90.11
_cell_angle_gamma 90.00
loop_
_atom_site_label
_atom_site_type_symbol
_atom_site_fract_x
_atom_site_fract_y
_atom_site_fract_z
_atom_site_occupancy
Na1 Na 0.0000 0.0021 0.0000 1
Na2 Na 0.1441 0.1719 0.4240 1
Na3 Na 0.1657 0.1287 0.0823 1
Na4 Na 0.1665 0.4936 0.8340 1
Na5 Na 0.1760 0.1906 0.7504 1
Na6 Na 0.3302 0.3611 0.9139 1
Na7 Na 0.3316 0.0125 0.1666 1
Na8 Na 0.3372 0.3068 0.5896 1
Na9 Na 0.4955 0.1396 0.7508 1
Hf1 Hf 0.1571 0.5001 0.4856 1
Hf2 Hf 0.3268 0.0007 0.3190 1
Hf3 Hf 0.4928 0.4935 0.1522 1
In1 In 0.1657 0.4977 0.6875 1
└──

### Result
[1]
VASP calculation (PBE) on crystalline Sr2TlHg at its relaxed geometry.

Geometry as CIF:
```
data_Sr2TlHg
_chemical_formula_sum 'Sr8 Tl4 Hg4'
_space_group_name_H-M_alt 'F m -3 m'
_space_group_IT_number 225
_space_group_name_Hall '-F 4 2 3'
_cell_length_a 8.1224
_cell_length_b 8.1224
_cell_length_c 8.1224
_cell_angle_alpha 90.00
_cell_angle_beta 90.00
_cell_angle_gamma 90.00
loop_
_atom_site_label
_atom_site_type_symbol
_atom_site_fract_x
_atom_site_fract_y
_atom_site_fract_z
_atom_site_occupancy
Sr1 Sr 0.2500 0.2500 0.2500 1
Tl1 Tl 0.0000 0.0000 0.0000 1
Hg1 Hg 0.0000 0.0000 0.5000 1
```

* formation energy: -0.487 eV/atom